
Sleep Time App Review: Sleep Technology to Track Your Zzzz's

By Oktay Ozadam

Sleep Time Review

Sleep Time is an app that we have reviewed that has been developed to track your sleep cycle. It gives you information that you can use to make adjustments to your sleep habits to optimize your energy level and overall health.

Monitoring your motion, REM cycles, and length of time spent sleeping can give you insight on how to fall asleep faster and get better, more restful sleep.

This review will examine the app and see how it stacks up against other sleep tracking apps like Runtastic Sleep Better, Sleep as Android, Pillow, and Sleep Rate.

How Can Sleep Time Help?

Sleep Time tracks and analyzes your sleep by using the motion sensor in your smartphone. It stores data that you can view when you wake up, giving you a report on your sleep hygiene. Think of it as getting a "score" on how well you slept. You can take that information and use it to make adjustments like changing your bedtime or the time that you wake up.

How Does It Work?

Find the links to the various app stores where Sleep Time is available at the bottom of this article. Once you've downloaded the app from your device's corresponding app store, activate it by placing your phone next to you in bed while you sleep.

The motion sensor in your phone links to the app and tracks your movement. Any restless tossing and turning through the night will be picked up and recorded.

When you fall into periods of deeper sleep, the tracker picks up on your stillness and counts it towards your restful sleep. When you wake up, you can compare the time spent moving to the time you spent lying still.

Compared to what is known as "the gold standard" in sleep monitoring- polysomnography otherwise referred to as a "sleep study"- Sleep Time does not quite stack up data point for data point.

A sleep study monitors your heart rate, oxygen input and output, and time spent in different sleep cycles, so it supplies you with more scientific data than any app could. But Sleep Time is a good jumping-off point to gather some initial data on your sleep hygiene before you take the step of polysomnography.

Using the Sleep Time App

Using the app is simple. In fact, the user interface is actually one of the better things about it when compared to other sleep tracking apps that are available.

### Calculated molecules, as found in the file
'''
A cluster of 7 separate species, C48H65F13N2O21 in total at a distorted geometry, computed with ωB97M-V/def2-TZVPD.

Output
Calculated total energy ... -132128.0098 eV
HOMO energy ... -9.61 eV
Frontier orbital gap ... 9.538 eV

Each line ends with the Mulliken charge.
CARTESIAN COORDINATES (ANGSTROEM)
1 H -3.7395 2.7778 -5.0162  0.340
2 F -2.8457 -6.2374 6.5423  -0.236
3 C 2.6219 -2.8451 4.9610  0.363
4 H 0.9879 -8.3363 -1.0188  0.282
5 C 2.4914 3.8925 -3.2677  -0.003
6 H 2.6558 5.9792 -2.7511  0.229
7 H 5.3050 0.0979 -7.2011  0.389
8 H 0.9578 5.5581 1.2199  0.374
9 C 5.2472 2.2571 -7.0487  0.595
10 H 4.6400 0.7068 -5.6658  0.390
11 H 1.8433 3.2253 -3.8451  0.152
12 O 5.2416 5.3196 -5.5785  -0.562
13 O 1.3623 3.6173 -0.0835  -0.493
14 C -4.0423 -6.8758 3.6365  0.386
15 H -7.1984 8.3271 6.1717  0.349
16 C -4.4607 -4.2036 3.3275  0.504
17 H 2.6002 -5.1811 0.4198  0.007
18 C 0.8141 -6.1113 -0.7174  -0.018
19 H 0.2256 6.2813 3.8808  0.310
20 C -1.1163 1.6823 -6.3356  0.579
21 F -1.6874 -7.8080 3.3076  -0.248
22 O 2.6645 -7.7259 0.0825  -0.361
23 H 3.2219 -6.8774 2.0161  0.143
24 C 1.2475 -7.5730 -0.1847  -0.224
25 O 1.0895 5.0039 -1.8599  -0.326
26 H -0.5505 -3.8459 7.3442  0.148
27 F -0.8355 -7.0934 5.8806  -0.260
28 H -0.5752 5.2043 0.4060  0.278
29 H 0.6331 -5.2923 7.7075  0.190
30 C 1.8895 5.2417 -3.0145  0.509
31 C 2.4610 -1.2577 4.6270  -0.473
32 H -2.1367 -2.9163 3.8331  0.209
33 F -1.5378 -5.1723 4.8629  -0.117
34 C 2.9388 -7.8776 1.5006  -0.448
35 H -5.2374 7.5429 7.3766  0.228
36 F -5.0221 -1.8801 2.8179  -0.350
37 C -5.3981 5.4571 6.8593  -0.393
38 H 3.4628 3.9600 -3.7617  -0.035
39 C -1.5538 -1.9272 1.7954  -0.490
40 O 6.7550 3.8325 -6.3922  -0.327
41 O -1.0207 1.0632 -5.1261  -0.306
42 O 3.3906 1.4305 -10.8079  -0.353
43 C 3.9021 0.2037 -11.1168  0.634
44 C 1.9563 -4.9705 -0.5034  -0.559
45 H -4.4243 5.5251 6.3697  0.204
46 O -2.2925 2.3619 -6.4486  -0.331
47 H 1.5781 1.4891 -11.7610  0.245
48 C -2.5679 0.5236 -3.3439  -1.219
49 C 0.4567 -0.6332 0.0376  -1.002
50 F -5.9093 -4.2334 3.2011  -0.320
51 O 3.6841 -3.4930 4.6778  -0.588
52 H 3.5925 -1.8056 2.7724  0.359
53 H 0.2043 -3.6717 -0.0258  -0.460
54 H 3.8035 -0.0576 3.3031  0.393
55 H 1.4059 -0.8706 4.8596  0.306
56 F -2.6078 -5.3269 2.1806  -0.130
57 H 2.6437 -3.7561 7.4500  0.298
58 H -0.7418 7.4875 1.2249  0.274
59 H 1.1742 0.4375 2.6330  0.404
60 C 0.4308 -4.1579 7.8528  -0.793
61 C 1.6669 3.9628 -1.1928  0.649
62 C -2.3240 7.2374 3.4385  0.619
63 H 1.8813 -0.3582 -9.3238  0.244
64 C -3.9160 -5.5763 2.6936  0.544
65 H 1.8904 2.1768 -8.7935  0.127
66 C -3.1030 1.9563 -5.3517  -0.479
67 H 1.2551 -3.0028 -1.4928  0.527
68 C -6.2298 5.5260 8.9309  0.628
69 H -3.7360 1.1236 -5.6738  0.293
70 H 5.1032 2.4956 -8.1084  0.210
71 H 3.1606 -0.7350 5.3962  0.458
72 C 6.6780 2.4343 -6.6366  -0.558
73 C -6.0021 6.8048 7.1102  0.542
74 O 2.9437 -0.7628 -11.0333  -0.347
75 H -1.8703 -0.8648 1.4463  0.531
76 F -2.9963 -8.6086 5.0050  -0.301
77 F -4.0971 -3.0782 1.0865  -0.295
'''
### Back to the entry

With only four main tabs, the app is streamlined and doesn't present itself as more scientific than it actually is.

You can choose your alarm, view the trends or patterns in the data that it collects over set periods of time, monitors the statistics of your sleep, like how long you spent in the REM cycle and other sleep benchmarks, as well as various settings for linking the app to other apps on your smartphone or device.

There are simple instructions for how best to use the app, where to place it during sleep, and how to select the settings that are right for you.

Using the Sleep Time App is sort of like using a sleep journal, but all of the data is digital and stored right there on your phone.

You don't have to remember to record your sleep as you would in a journal as the app does all of the work for you. It is one of the easiest to use among all sleep tracking apps and devices.

Like with all things, there are pros and cons to using the Sleep Time App.

While the ease of use is certainly a big pro, along with the simplicity in viewing the data, one major con is that there is some debate over the accuracy. Because you use the app by placing it near you while you sleep and it does not correspond with a wearable band, the data that it collects isn't as bio-accurate as it could be.

FitBit, for example, is a device that you wear on your wrist and it measures your pulse while you sleep to get more accurate information on things like sleep cycles and periods of rest versus periods of restlessness. But many people do not like to fall asleep wearing a band, so for those users, it is preferable.

Remember that if you are actually experiencing health issues or are concerned about your sleep, there are other more accurate, albeit more drastic and more involved ways that you can monitor your sleep. Talk to your doctor if you have concerns, or if you want to know if using an app like Sleep Time can be helpful for you.

Features in Sleep Time

Within the four tabs of settings, alarm, statistics, and trends, there are many features that are used to compare and collect data on your sleep habits. These features include:


This is where you see comparison charts, like how this week's sleep compared to last weeks. You can also view sleep averages of others in your country, to see where you fall among your peers.

These graphs track things like what time you fell asleep each night, how much you moved during sleep if you snored, your heart rate, and increased or decreased sleep quality over time.


You can share the data that you collected on your social media pages, or send it to someone in an email. This could be a useful way to share the collected data with a doctor or sleep professional.

You can also back up the information to a drive on your computer, or store it as a file on your smartphone or device so that you can view it later in case the app crashes or you have to uninstall and re-install it. This way, you won't lose any of the data that you've collected over a period of days, weeks, or months.

Wake Up Time – Smart Alarm

You can set a 30-minute window for when you would like to wake up. Sleep Time tracks your sleep cycles. When it senses that you are reaching a period of light sleep that is close to the time window that you selected, it triggers your alarm and wakes you up when your sleep is becoming lighter. This is supposed to be a less jarring way to start your day.

Linking to Other Apps

Sleep Time can also link to other apps on your smartphone such as daytime activity trackers, music apps, and weather apps. You can also link it to your notes, to keep track of things like food consumed throughout the day that might be affecting your sleep at night. By linking it to daytime activity trackers, you can see if the amount of activity in your day is affecting your sleep habits.

You might be overactive, therefore requiring too much sleep, or if you find that you are having a hard time falling asleep, consider upping your activity levels so that you are more tired when it is time to go to bed. It's all about optimizing your sleep, and the ability to link other apps helps you collect the most useful data that you can.

General Consensus from Sleep Time Users

This app has been downloaded more than 35 million times. That's a rather high number, so that information alone tells you that a lot of people find it useful.

Some find that the data collected doesn't tell them anything that they don't already know, and find the whole thing to be a waste of time and phone space.

Others find the data to be very helpful in adjusting their sleep habits. The best way to know whether it is useful for you is to give it a try.

Wrapping Up

In conclusion, Sleep Time is a good option if you would like to casually record data on your sleep habits. If you are willing to study the graphs and data that is collected to make small changes to your sleep routine, then this might be a good place for you to start.

If you need a more in-depth analysis of your sleep hygiene, consider using a more advanced sleep tracker device like Dreem or talking to your doctor about polysomnography.

An overnight sleep study is more "invasive" as it requires the wearing of a device, but it also collects much more accurate qualitative data. If you are concerned about health issues related to poor sleep, Sleep Time probably won't be as helpful as having a sleep study done.

For More on Sleep Tracking

If you want to learn more on the various types of sleep tracking devices and apps, visit this page for more details on best sleep tracking devices. To learn more about how sleep tracking apps collect data and which are the best to use, visit this page.

• Misplaced data records:
<<<
1.
Entry from the Open Molecules 2025 dataset: a molecular structure, C28H40F6NO7PPtS2Se (ωB97M-V/def2-TZVPD).

XYZ file:
```
87
Properties=species:S:1:pos:R:3:lowdin_charge:R:1
Pt 1.1811 -1.2782 -2.7480 0.878
C 2.9227 0.1077 4.3759 -0.024
C 1.9131 1.1352 3.8368 -0.548
C 0.5137 0.8229 4.3901 -0.041
C 2.3240 2.5266 4.3181 -0.064
C 1.8844 1.0278 2.3221 -0.100
C 1.4547 -0.1820 1.7357 -0.051
C 1.4333 -0.3358 0.3880 -0.333
Se 0.7865 -1.9859 -0.3551 1.204
C -1.0548 -1.4269 -0.4188 -0.377
C -1.7821 -1.3689 0.7601 -0.062
C -3.1107 -0.9895 0.7295 -0.175
C -3.6477 -0.6828 -0.5244 0.010
C -2.9521 -0.7202 -1.7231 -0.077
C -1.5942 -1.1364 -1.6794 -0.367
O -0.8735 -1.2590 -2.7744 -0.288
C -3.7070 -0.3714 -3.0168 -0.529
C -2.8124 -0.0552 -4.2229 -0.055
C -4.5896 0.8679 -2.7922 -0.061
C -4.6021 -1.5649 -3.3806 -0.042
C -3.9827 -0.8908 1.9787 -0.558
C -4.4903 0.5492 2.1369 -0.048
C -5.1819 -1.8395 1.8485 -0.048
C -3.2106 -1.2655 3.2439 -0.066
C 1.8650 0.7249 -0.4871 -0.312
O 1.8729 0.6015 -1.7392 -0.121
C 2.2996 1.9810 0.1108 -0.039
C 2.2890 2.0747 1.4816 0.050
C 2.7533 3.1260 -0.7846 -0.530
C 1.6159 3.5357 -1.7371 -0.029
C 3.9891 2.6927 -1.5924 -0.022
C 3.1388 4.3588 0.0377 -0.070
H 2.9474 0.1629 5.4664 0.088
H 3.9242 0.3086 3.9935 0.099
H 2.6706 -0.9101 4.0847 0.081
H 0.5239 0.9096 5.4781 0.087
H 0.1956 -0.1893 4.1420 0.073
H -0.2286 1.5207 3.9968 0.091
H 2.3194 2.5425 5.4089 0.085
H 1.6342 3.2981 3.9696 0.089
H 3.3316 2.7851 3.9893 0.088
H 1.1694 -1.0138 2.3633 0.109
H -1.2928 -1.6287 1.6901 0.094
H -4.6905 -0.3943 -0.5614 0.097
H -2.0955 0.7357 -4.0015 0.092
H -3.4530 0.2840 -5.0415 0.081
H -2.2465 -0.9176 -4.5603 0.081
H -3.9832 1.7201 -2.4805 0.091
H -5.3672 0.7109 -2.0446 0.066
H -5.0876 1.1295 -3.7279 0.080
H -3.9963 -2.4545 -3.5594 0.092
H -5.1687 -1.3490 -4.2899 0.082
H -5.3089 -1.7895 -2.5788 0.078
H -5.0791 0.8621 1.2739 0.076
H -3.6523 1.2414 2.2380 0.087
H -5.1203 0.6363 3.0259 0.081
H -5.7919 -1.5948 0.9783 0.076
H -5.8178 -1.7743 2.7349 0.081
H -4.8443 -2.8716 1.7409 0.090
H -2.3599 -0.6003 3.4053 0.071
H -2.8417 -2.2918 3.2006 0.089
H -3.8681 -1.1828 4.1116 0.084
H 2.6101 2.9963 1.9380 0.088
H 1.3509 2.7344 -2.4211 0.081
H 1.9372 4.3962 -2.3271 0.087
H 0.7267 3.8261 -1.1729 0.092
H 3.7646 1.8662 -2.2617 0.078
H 4.7987 2.3900 -0.9257 0.096
H 4.3371 3.5362 -2.1919 0.088
H 2.3016 4.7327 0.6309 0.087
H 3.4423 5.1527 -0.6457 0.085
H 3.9798 4.1589 0.7044 0.088
F 3.6826 -2.2588 -0.4685 -0.239
P 4.3478 -3.1091 0.7656 0.145
F 3.3134 -2.3651 1.7935 -0.190
F 5.3439 -3.8386 -0.2610 -0.150
F 5.4126 -1.9157 0.9969 -0.164
F 4.9668 -3.9316 2.0057 -0.160
F 3.2335 -4.2629 0.5311 -0.183
O 3.1565 -4.7476 -2.9791 0.099
N 2.1160 -5.1479 -2.5854 -0.177
O 1.0986 -4.6262 -2.2623 0.040
O 1.1995 -2.3740 -5.5291 -0.403
S 2.0782 -1.2293 -5.6479 0.125
O 3.0605 -1.2738 -6.6932 -0.360
O 1.4568 0.0544 -5.3931 -0.403
S 3.2169 -1.4283 -3.7650 0.486
```
>>>

To Download Sleep Time

On an Apple device, go to the App Store on your iPhone or iPad. Click here

On an android device, go to the Google Play store. Click here.

To view the app page, click here.